Hardware Hacking
Cool idea – and, as it turns out, one that a lot of other hackers already had. When Gibbons went on-line, he discovered a whole network of Furby geeks. Some had set up a “Hack Furby” contest, and one techie had ripped the toy apart, posting a complete spec of its internal systems – the microswitches, tilt sensor, motor control, audio control. “That was half my work done there,” Gibbons marvels.
But it was Gibbons who finished the job – by figuring out out how to add a new microchip “brain.” He released his solution on the web, and last November became minorly famous for winning the “Hack Furby” contest. Soon, geeks worldwide were reprogramming Furbies to use as intruder alerts, motion sensors, or to tell filthy jokes. “I’m getting e-mails every day about it,” Gibbons says. In some ways, this is a familiar story: hackers working on-line on collaborative projects. That’s what the open-source software movement is all about. To create the Linux operating system, for example, Finnish programmer Linus Torvalds worked with hundreds of other hackers worldwide. As the open-source movement has realized, many hands make light work. If enough people take a crack at the same problem, they can figure out a solution for any software puzzle. But in the last year, I’ve increasingly seen a similar thing happen with hardware. Geeks are taking high-tech devices – scanner pens, web pads, digital recorders – then dissecting them together on-line and finding new uses for them. Call it, if you will, open-source hardware. It has the potential to subtly alter the way businesses develop their gadgets.
After all, what these guys are doing is essentially free technical research. By November, 2000, Furby’s mass popularity was pretty much dead, but the hackers have figured out new ways to harness the toy’s rather astonishing computer power. Indeed, this is part of what fuels the trend: Cheap electronic devices are being built with ever more powerful processors, allowing toys and gadgets to be used for things the inventor never dreamed of. And since they’re mass-produced, they get into the hands of enough hackers to produce a vibrant community. “We’re doing lab research for these guys,” says Peter van der Linden, an engineer in Silicon Valley who founded the “Hack Furby” contest. He’s programming his own Furby to calculate and read out the digits of pi. “We’re giving these products new life!” The same thing happened to the CueCat, a small, cat-shaped scanner pen handed out for free last year by Dallas, Tex.-based Digital Convergence. Plugged into your computer, the CueCat was intended to work as a device for browsing content on the internet. You could scan special bar codes in advertisements, and the CueCat would direct your browser to sites with more information. Within days, hardware hackers broke the CueCat’s encryption codes – and started rejigging the device. Michael Rothwell, who works in high-tech development in North Carolina, wrote software that lets you use a CueCat to swipe the bar code on a book, and be taken to its relevant page at Amazon.com. He’s also trying to use it to build an inventory of his CDs. “This thing has all sorts of potential beyond what Digital Convergence was using it for,” he notes. “Even better, really. I mean, the idea of using it as a way to browse the net was always kind of stupid. This is much better.” Mind you, this isn’t quite so simple for hardware developers. Hacking devices requires that geeks publicly discuss the intricacies of proprietary technologies – stuff that companies are trying to keep hidden, or at least under control. But, as with the open-source software movement, the techies are primarily interested in learning and having fun – and don’t always respect traditional notions of intellectual property. After the CueCat was hacked, Digital Convergence sent out warning letters to Rothwell noting that he was using proprietary code. “The thing about intellectual property is that you have to defend it right away,” says Doug Davis, the chief technology officer for Digital Convergence. Think of the law this way: If you’re lenient with the first nine people who use your proprietary technology, then it gets harder – or impossible to prosecute the tenth. For some companies, hardware hacking has helped trash their business plans. In December, 1999, the Austin, Tex.-based Netpliance put out the i-opener, a device for letting newbies surf the net. It included a flat-panel screen, a full keyboard and 32 megs of memory, and cost only $199 (U.S.). Since it had no hard drive, you couldn’t download big documents or install new pieces of software. Until the hardware hackers got ahold of it – like Ken Segler, who runs his own electronics consulting firm in Las Vegas. Segler bought one, wired in an external hard drive for another $100 (U.S.), installed Linux, and presto – he’d turned the i-opener into a full-fledged computer, for under $200 (U.S.). “Not bad,” he muses. Other techies flooded Segler’s web site looking for a guide to the hack. He eventually sold “a few thousand” special kits to help people modify their i-openers. The hack was ruinous for Netpliance. For the company to make money, it needed people to sign up for Netpliance’s $21.95-a-month (U.S.) internet access plan, geared for net newcomers. The devices weren’t moneymakers – they were priced at cost to help seed the market. So every time a hacker bought one, turned it into a computer and didn’t sign up for the company’s service, Netpliance lost money. “We were subsidizing the whole thing,” complains Jon Werner, Netpliance’s director of emerging technologies. Unable to fully halt the trend, Netpliance stopped making i-openers in mid-January. Now it focuses solely on providing on-line services. Still, things aren’t always combative. Tiger Electronics hasn’t tried to shut down any Furby hacking, since it already makes money on each one sold – even if somebody opens it up and teaches it to recite dirty limericks. (“But,” a Tiger PR rep tells me sternly, “we do not approve of anyone altering the magic that is Furby.”) And Digital Convergence openly acknowledges that the hackers were providing an quixotically valuable service, by finding potential new markets for their CueCat. In fact, the company quickly decided to let hackers cheaply license the technology so they could legally create personal applications for the device. “We fully expected that people would find new uses for it. We knew it was going to get hacked,” Davis says. He was also amazed at the expansive technical write-ups of the device he found on-line: “Some of it was better than ours. I was telling our technical guys, ‘Hey, you gotta see this stuff.’ “
Crystal structures from another source follow.
********
Starting from a crystal structure in Alexandria, relaxed with GGA+U, the powder diffraction line list of Tm2UFeO8 was calculated for Cu Kα (weighted mean of Kα1 and Kα2).
Intensities are scaled so that the largest is 100.

Peak list (12 most intense, 2θ = 10–90°, sorted by position)
Position (°2θ)  I_rel
13.23  12.2
22.28  26.1
24.90  60.8
25.78  53.4
32.25  100.0
36.15  30.2
48.71  42.0
49.71  36.8
61.16  10.7
62.56  22.7
84.04  10.8
86.38  11.3

abc: 6.911 7.152 6.692
angles: 90.00 90.00 90.00
Space group Cmmm (No. 65)
Asymmetric unit:
Tm1 0.000 0.000 0.239 x4
U1 0.000 0.500 0.500 x2
Fe1 0.000 0.500 0.000 x2
O1 0.000 0.315 0.253 x8
O2 0.204 0.000 0.500 x4
O3 0.215 0.000 0.000 x4

~~~~~

Diffraction record for Na2NbBiO6. The X-ray powder pattern is simulated, not measured: it uses the GGA-PBE geometry in the Materials Project and Cu Kα X-rays.
Kinematic intensities with the Lorentz-polarization factor, no thermal factor.

```
data_Na2NbBiO6
_chemical_formula_sum 'Na8 Nb4 Bi4 O24'
_symmetry_space_group_name_H-M 'F m -3 m'
_symmetry_Int_Tables_number 225
_symmetry_space_group_name_Hall '-F 4 2 3'
_cell_length_a 8.1942
_cell_length_b 8.1942
_cell_length_c 8.1942
_cell_angle_alpha 90.00
_cell_angle_beta 90.00
_cell_angle_gamma 90.00
loop_
_atom_site_label
_atom_site_fract_x
_atom_site_fract_y
_atom_site_fract_z
Na1 0.2500 0.2500 0.2500
Nb1 0.0000 0.0000 0.0000
Bi1 0.0000 0.0000 0.5000
O1 0.0000 0.0000 0.2435
```

Peak list (10 most intense, 5 to 70 degrees two-theta, by angle)
- hkl 1 1 1, 18.76°, I = 23
- hkl 2 0 0, 21.69°, I = 99
- hkl 2 2 0, 30.86°, I = 100
- hkl 3 1 1, 36.36°, I = 16
- hkl 2 2 2, 38.04°, I = 9
- hkl 4 0 0, 44.21°, I = 36
- hkl 4 2 0, 49.76°, I = 43
- hkl 4 2 2, 54.89°, I = 41
- hkl 4 4 0, 64.31°, I = 22
- hkl 6 0 0, 68.73°, I = 20
********
Text from Clive Thompson